[Exercise]
Say how many lines of the rows below hold the word "rising", as a bare number.

[Excerpt]
........
# 1
Simulated powder diffractogram of RbNa2Rh for Cu Kα, from a structure optimized by DFT (GGA-PBE).
Neutral-atom scattering factors, no anomalous dispersion.

Atomic structure:
a b c (Å): 7.575 7.575 7.575
angles (deg): 90.00 90.00 90.00
Space group Fm-3m (No. 225)
Inequivalent atoms, fractional coordinates:
Rb  0.000  0.000  0.000 (multiplicity 4)
Na  0.250  0.250  0.250 (multiplicity 8)
Rh  0.000  0.000  0.500 (multiplicity 4)

Peak list (8 most intense, 10° ≤ 2θ ≤ 80°, in order of rising 2θ)
23.49 deg, 3.788 Å, rel. 44, (2 0 0); 33.46 deg, 2.678 Å, rel. 100, (2 2 0); 41.29 deg, 2.187 Å, rel. 13, (2 2 2); 48.04 deg, 1.894 Å, rel. 18, (4 0 0); 54.15 deg, 1.694 Å, rel. 18, (4 2 0); 59.81 deg, 1.546 Å, rel. 36, (4 2 2); 70.30 deg, 1.339 Å, rel. 11, (4 4 0); 75.27 deg, 1.263 Å, rel. 9, (6 0 0)

# 2
Simulated powder diffractogram of Rb3Na7Sb2 for Cu Kα, from a structure optimized by DFT (GGA-PBE).
Neutral-atom scattering factors, no anomalous dispersion.

Atomic structure:
a b c (Å): 5.979 30.693 5.978
angles (deg): 90.00 90.00 90.00
Space group Cmmm (No. 65)
Inequivalent atoms, fractional coordinates:
Rb  0.000  0.000  0.000 (multiplicity 2)
Rb  0.000  0.181  0.000 (multiplicity 4)
Na  0.000  0.090  0.500 (multiplicity 4)
Na  0.000  0.292  0.500 (multiplicity 4)
Na  0.000  0.411  0.000 (multiplicity 4)
Na  0.000  0.500  0.500 (multiplicity 2)
Sb  0.000  0.394  0.500 (multiplicity 4)

Peak list (8 most intense, 10° ≤ 2θ ≤ 80°, in order of rising 2θ)
18.82 deg, 4.716 Å, rel. 35, (0 4 1); 20.74 deg, 4.283 Å, rel. 85, (1 5 0); 21.22 deg, 4.188 Å, rel. 95, (1 1 1); 22.88 deg, 3.887 Å, rel. 58, (0 6 1); 29.89 deg, 2.989 Å, rel. 100, (2 0 0); 36.66 deg, 2.451 Å, rel. 39, (1 5 2); 42.20 deg, 2.141 Å, rel. 45, (2 10 0); 42.78 deg, 2.114 Å, rel. 37, (2 0 2)

# 3
Simulated powder diffractogram of Rb3Na5Sb2 for Cu Kα, from a structure optimized by DFT (GGA-PBE).
Neutral-atom scattering factors, no anomalous dispersion.

Atomic structure:
a b c (Å): 14.750 16.593 6.694
angles (deg): 90.00 90.00 90.00
Space group Ibam (No. 72)
Inequivalent atoms, fractional coordinates:
Rb  0.000  0.000  0.250 (multiplicity 4)
Rb  0.081  0.251  0.000 (multiplicity 8)
Na  0.000  0.500  0.250 (multiplicity 4)
Na  0.204  0.322  0.500 (multiplicity 8)
Na  0.246  0.500  0.250 (multiplicity 8)
Sb  0.171  0.141  0.500 (multiplicity 8)

Peak list (8 most intense, 10° ≤ 2θ ≤ 80°, in order of rising 2θ)
18.06 deg, 4.912 Å, rel. 64, (1 2 1); 24.11 deg, 3.691 Å, rel. 61, (2 3 1); 24.22 deg, 3.675 Å, rel. 32, (3 3 0); 24.62 deg, 3.615 Å, rel. 42, (2 4 0); 28.15 deg, 3.170 Å, rel. 100, (4 1 1); 28.76 deg, 3.104 Å, rel. 60, (0 2 2); 32.46 deg, 2.758 Å, rel. 70, (2 5 1); 51.09 deg, 1.788 Å, rel. 29, (6 4 2)

# 4
Simulated powder diffractogram of RbNa2Sr2Sb2 for Cu Kα, from a structure optimized by DFT (GGA-PBE).
Neutral-atom scattering factors, no anomalous dispersion.

Atomic structure:
a b c (Å): 5.4427 5.4427 31.9793
angles (deg): 90.00 90.00 120.00
Space group R-3m (No. 166, hexagonal axes)
Inequivalent atoms, fractional coordinates:
Rb  0.0000  0.0000  0.0000 (multiplicity 3)
Na  0.0000  0.0000  0.4115 (multiplicity 6)
Sr  0.0000  0.0000  0.1320 (multiplicity 6)
Sb  0.0000  0.0000  0.2434 (multiplicity 6)

Peak list (8 most intense, 10° ≤ 2θ ≤ 80°, in order of rising 2θ)
19.03 deg, 4.663 Å, rel. 39, (1 0 1); 19.64 deg, 4.521 Å, rel. 26, (0 1 2); 27.18 deg, 3.280 Å, rel. 24, (1 0 7); 29.29 deg, 3.049 Å, rel. 97, (0 1 8); 32.91 deg, 2.721 Å, rel. 100, (1 1 0); 44.63 deg, 2.030 Å, rel. 30, (2 0 8); 56.56 deg, 1.627 Å, rel. 30, (1 2 8); 58.77 deg, 1.571 Å, rel. 18, (3 0 0)

# 5
Simulated powder diffractogram of RbNa4Se4 for Cu Kα, from a structure optimized by DFT (GGA-PBE).
Neutral-atom scattering factors, no anomalous dispersion.

Atomic structure:
a b c (Å): 9.705 9.705 5.873
angles (deg): 90.00 90.00 90.00
Space group P4_2/n (No. 86, origin choice 2)
Inequivalent atoms, fractional coordinates:
Rb  0.250  0.250  0.250 (multiplicity 2)
........

[Worked solution]
4